His eyes refocused, seeing me again.

Pain flooded there. It was raw and real and visceral, and I gasped. A surge of need to take it away flooded me.

Anything. I had to help.

“Ashton. Your mother—”

“Hated me,” he clipped out.

“What?” I froze. “What did you say?” I reached up, catching him with both of my hands, but he blinked, and it was gone. That small window, so fleeting. It closed up, though he remained where he was. He stood, holding me, touching me, as I was framing his face—he could’ve been on the other side of the room.

I slid a hand down to his chest, tamping down on the throb that filled the inside of my entire chest cavity for him. “Not that I’m really complaining, but the whole hand on my neck, and your thumb doing these magical things to me, and you know, feeling your hips down here and being backed against a wall . . . I mean, a girl can have so many fantasies before one is needing to come true. So could you, um, could you either do something or step back?”

“Do something?” His eyes went back to mine, holding me in place.

My throat swelled up. “Right. Or step back.” But I pressed against him, ignoring the emotional distance, because he was locked back in. He was seeing me, not her. He was feeling me, not her.

“Step back?” He frowned, his thumb moving over my mouth again. His eyebrows pinched together, and he began to bend down, folding over me even more.

Oh man. I was feeling him between my legs, and I said, a faint plea, though I wasn’t feeling it in a faint way, “Please.”

His eyes flared, and I tensed because I had no idea what he was going to do, but then a whole new intensity exploded from him, and he was reaching for me. “Ashton!”

A female’s voice began shrieking from inside the house.

He went rigid over me.

A door crashed open behind us, and that same voice shrieked again: “Ashton!”

I—fuck it.

I reached up and stood up, and I fused my mouth to his.



I ripped myself away from Molly, my whole body trembling because holy fuck, the need to tear down her leggings, throw her up against the wall, and sink my dick deep inside of her was tearing through me at a breakneck speed.

Materials data, as found in the file >
____________
Computed, not measured: a relaxed K2BaPb2 crystal at the GGA-PBE level of DFT.

E above lowest polymorph   0.069 eV per atom
Fermi-level density of states   2.7 states/eV/f.u.
Crystal system   tetragonal
DFT formation energy   -0.795 eV/f.u.

The structure in POSCAR format:
```
K2BaPb2
1.0
-3.661 -5.946 -5.738
8.262 -2.500 -2.680
0.110 -3.967 4.041
K Ba Pb
4 2 4
Cartesian
4.496 -8.032 -4.039
0.215 -4.382 -0.338
4.954 -4.643 -0.725
-0.243 -7.770 -3.653
0.000 0.000 0.000
2.300 -4.223 -4.209
2.757 -1.647 -1.692
-1.300 -3.947 -3.839
5.901 -4.500 -4.579
1.844 -6.799 -6.726
```

~~~~~

(1)
PmSbI | PBE | relaxed

The structure belongs to space group R3m (No. 160, hexagonal axes); the cell edges are 5.3767, 5.3767 and 13.1093 Å and the angles 90.00°, 90.00° and 120.00°. The distinct sites, in fractional coordinates, are Pm at (0.0000, 0.0000, 0.0000), Sb at (0.0000, 0.0000, 0.7495) and I at (0.0000, 0.0000, 0.2505).

Its uncorrected energy is -4.10 eV/atom. Its total magnetization is 0.00 μB/cell. As for the distance to the lowest polymorph of the same formula: 272 meV/atom.


(2)
Mg3GaBi2 | PBE | relaxed

The structure belongs to space group P-1 (No. 2); the cell edges are 4.055, 4.778 and 8.327 Å and the angles 73.74°, 79.14° and 89.95°. The distinct sites, in fractional coordinates, are Mg at (0.000, 0.000, 0.000), Mg at (0.137, 0.645, 0.698), Ga at (0.500, 0.500, 0.000) and Bi at (0.355, 0.853, 0.305).

Its uncorrected energy is -2.72 eV/atom. The formation energy is -0.12 eV/atom. Its total magnetization is 0.00 μB/cell.


(3)
LiNdAgSb | PBE | relaxed

The structure belongs to space group F-43m (No. 216); the cell edges are 7.288, 7.288 and 7.288 Å and the angles 90.00°, 90.00° and 90.00°. The distinct sites, in fractional coordinates, are Li at (0.000, 0.000, 0.000), Nd at (0.000, 0.000, 0.500), Ag at (0.250, 0.250, 0.750) and Sb at (0.250, 0.250, 0.250).

Its uncorrected energy is -3.95 eV/atom. Its total magnetization is 0.00 μB/cell.


(4)
PrAl12Au4 | PBE | relaxed

The structure belongs to space group Im-3 (No. 204); the cell edges are 8.932, 8.932 and 8.932 Å and the angles 90.00°, 90.00° and 90.00°. The distinct sites, in fractional coordinates, are Pr at (0.000, 0.000, 0.000), Al at (0.000, 0.154, 0.350) and Au at (0.250, 0.250, 0.250).

Its uncorrected energy is -3.81 eV/atom. The formation energy is -0.11 eV/atom. Its total magnetization is 0.00 μB/cell.


(5)
Pr5Dy5Mg2 | PBE | relaxed

The structure belongs to space group C2/m (No. 12); the cell edges are 15.311, 5.103 and 11.120 Å and the angles 90.00°, 117.25° and 90.00°. The distinct sites, in fractional coordinates, are Pr at (0.000, 0.000, 0.000), Pr at (0.080, 0.000, 0.744), Pr at (0.249, 0.500, 0.740), Dy at (0.000, 0.500, 0.500), Dy at (0.086, 0.500, 0.260), Dy at (0.167, 0.500, 0.998) and Mg at (0.167, 0.000, 0.499).

Its uncorrected energy is -4.16 eV/atom. The formation energy is 0.01 eV/atom. Its total magnetization is 0.00 μB/cell.


(6)
Mg2Ag9Sn | PBE | relaxed
____________

She tore something down inside of me. Something I needed, the last bit of restraint with her.

She didn’t just tear it down. She took a battering ram to it, and I was shaken, taking her in. Only her in. I was ignoring the emotions clawing through me.

Only Molly. I could only feel Molly.

[What comes next are crystal structures, not part of the article]
No. 1
As2SeBr | PBE | optimized geometry

Output
E = -13.51 eV for the cell shown
E_form (uncorrected) = 0.236 eV/atom

Cell and atoms, written as CIF:
```
data_As2SeBr
_cell_length_a 3.077
_cell_length_b 4.958
_cell_length_c 7.992
_cell_angle_alpha 90.00
_cell_angle_beta 90.00
_cell_angle_gamma 128.86
_space_group_name_H-M_alt 'P 1'
_space_group_IT_number 1
_space_group_name_Hall 'P 1'
loop_
_atom_site_label
_atom_site_type_symbol
_atom_site_fract_x
_atom_site_fract_y
_atom_site_fract_z
_atom_site_occupancy
As1 As 0.000 0.000 0.986 1
As2 As 0.000 0.000 0.514 1
Se1 Se 0.500 0.500 0.750 1
Br1 Br 0.500 0.500 0.250 1
```



No. 2
FeTcPb2 | PBE | optimized geometry

Output
E = -22.54 eV for the cell shown

Cell and atoms, written as CIF:
```
data_FeTcPb2
_cell_length_a 4.872
_cell_length_b 4.872
_cell_length_c 4.872
_cell_angle_alpha 60.00
_cell_angle_beta 60.00
_cell_angle_gamma 60.00
_space_group_name_H-M_alt 'P 1'
_space_group_IT_number 1
_space_group_name_Hall 'P 1'
loop_
_atom_site_label
_atom_site_type_symbol
_atom_site_fract_x
_atom_site_fract_y
_atom_site_fract_z
_atom_site_occupancy
Fe1 Fe 0.500 0.500 0.500 1
Pb1 Pb 0.000 0.000 0.000 1
Pb2 Pb 0.250 0.250 0.250 1
Tc1 Tc 0.750 0.750 0.750 1
```



No. 3
SrZrW2 | PBE | optimized geometry

Output
E = -32.84 eV for the cell shown

Cell and atoms, written as CIF:
```
data_SrZrW2
_cell_length_a 2.911
_cell_length_b 2.911
_cell_length_c 10.266
_cell_angle_alpha 90.00
_cell_angle_beta 90.00
_cell_angle_gamma 109.02
_space_group_name_H-M_alt 'P 1'
_space_group_IT_number 1
_space_group_name_Hall 'P 1'
loop_
_atom_site_label
_atom_site_type_symbol
_atom_site_fract_x
_atom_site_fract_y
_atom_site_fract_z
_atom_site_occupancy
Sr1 Sr 0.500 0.500 0.750 1
W1 W 0.000 0.000 0.023 1
W2 W 0.000 0.000 0.477 1
Zr1 Zr 0.500 0.500 0.250 1
```



No. 4
Y2TiTl2S6 | PBE | optimized geometry

Output
E = -65.78 eV for the cell shown
E_form (uncorrected) = -1.405 eV/atom

Cell and atoms, written as CIF:
```
data_Y2TiTl2S6
_cell_length_a 6.661
_cell_length_b 6.661
_cell_length_c 7.863
_cell_angle_alpha 98.49
_cell_angle_beta 98.49
_cell_angle_gamma 119.61
_space_group_name_H-M_alt 'P 1'
_space_group_IT_number 1
_space_group_name_Hall 'P 1'
loop_
_atom_site_label
_atom_site_type_symbol
_atom_site_fract_x
_atom_site_fract_y
_atom_site_fract_z
_atom_site_occupancy
Y1 Y 0.333 0.667 0.500 1
Y2 Y 0.667 0.333 0.500 1
Ti1 Ti 0.000 0.000 0.500 1
Tl1 Tl 0.829 0.171 0.000 1
Tl2 Tl 0.171 0.829 0.000 1
S1 S 0.764 0.764 0.692 1
S2 S 0.067 0.371 0.691 1
S3 S 0.236 0.236 0.308 1
S4 S 0.371 0.067 0.691 1
S5 S 0.933 0.629 0.309 1
S6 S 0.629 0.933 0.309 1
```



No. 5
TaRe2Se | PBE | optimized geometry

Output
E = -39.94 eV for the cell shown
E_form (uncorrected) = 0.073 eV/atom

Cell and atoms, written as CIF:
```
data_TaRe2Se
_cell_length_a 3.038
_cell_length_b 3.038
_cell_length_c 7.011
_cell_angle_alpha 90.00
_cell_angle_beta 90.00
_cell_angle_gamma 90.00
_space_group_name_H-M_alt 'P 1'
_space_group_IT_number 1

I was also going to murder Remmi West because I knew who’d just stormed her way in.

“What are you doing here?” I had to get ahold of myself, but I half growled at Trace’s sister.

She was coming in, hoop earrings. Leather jacket. Her dark hair swept up, piled high, and she was wearing her usual black pants. Trace’s sister liked to dress the Mafia-princess stereotype, but today there was no faux fur jacket.

Remmi ignored me, her neck craning so she could see Molly. “Who’s that?” She pointed at her.

I pushed her hand down. “None of your business. What are you doing here, and how did you get here?”

“She came with me.” Marco stepped around her, coming into the room, and he was eyeing Molly too.

I cursed, raking a hand over my head as I squared off against my cousin. He was family. Of course he’d know about the compound, but Remmi?

“What are you doing here?”

Marco’s eyes narrowed before he turned back to me. “Trace called. Said he couldn’t get ahold of you, and it was imperative. I thought this was the one place you’d go where you wouldn’t answer his call, and since Remmi had just landed at the airport, I picked her up and brought her here to see if you were here, and you are.” He motioned to me.

I stared at him. Hard.

He grinned back. “Relax. I know you got this place cell jammed, and I shared with Remmi this place is secret to even her family.”

Remmi smiled at me. “Oh yeah. I wore a blindfold, headphones, and a bag over my head. I felt very Ozark-like. It was awesome, but really . . .” She approached Molly. “Who are you?”

I cursed, moving forward.

Molly was about to answer, but I stepped in between her and Remmi. “She’s no one.”

Remmi’s head moved back, her eyes widening a tiny bit.

She was Trace’s sister, but in many ways, she was also mine. When he couldn’t handle her or take care of her, I stepped in. Hell. I stepped in a lot of times even before he was given a chance to be her brother. That was me, taking care of the fires before they turned into infernos, and her being here was the start of another one that would rage out of control.